Wanted
Please transcribe the lines below from the one with "24.565" to the one with "No. 15." verbatim.

File
[1]
Crystalline PmIO at its relaxed geometry. Source: the Open Quantum Materials Database, functional GGA-PBE.

Geometry as POSCAR:
```
PmIO
1.0
4.075 0.000 0.000
0.000 4.264 0.000
0.000 0.000 10.081
Pm I O
2 2 2
Cartesian
1.019 1.066 1.083
3.057 3.198 8.998
1.019 3.198 6.634
3.057 1.066 3.447
1.019 3.198 0.171
3.057 1.066 9.910
```

## Properties
Its symmetry is No. 59.

=====

[2]
Crystalline PmIO at its relaxed geometry. Source: the Open Quantum Materials Database, functional GGA-PBE.

Geometry as POSCAR:
```
PmIO
1.0
10.065 -2.068 0.000
10.065 2.068 0.000
-0.552 0.000 7.971
Pm I O
4 4 4
Cartesian
3.822 0.000 0.928
3.564 0.000 4.892
16.013 0.000 3.079
15.756 0.000 7.043
0.998 0.000 6.702
7.705 0.000 5.183
11.872 0.000 2.788
18.579 0.000 1.269
4.606 0.000 7.002
4.917 0.000 2.969
14.660 0.000 5.002
14.972 0.000 0.968
```

## Properties
Its symmetry is No. 12.

=====

[3]
Crystalline PmIO at its relaxed geometry. Source: the Open Quantum Materials Database, functional GGA-PBE.

Geometry as POSCAR:
```
PmIO
1.0
2.021 1.167 10.401
-2.021 1.167 10.401
0.000 -2.333 10.401
Pm I O
2 2 2
Cartesian
0.000 0.000 6.639
0.000 0.000 24.565
0.000 0.000 11.983
0.000 0.000 19.221
0.000 0.000 4.321
0.000 0.000 26.883
```

## Properties
Its symmetry is No. 166.

=====

[4]
Crystalline PmTmI2O2 at its relaxed geometry. Source: the Open Quantum Materials Database, functional GGA-PBE.

Geometry as POSCAR:
```
PmTmI2O2
1.0
3.954 0.000 0.000
0.000 3.954 0.000
0.000 0.000 9.241
Pm Tm I O
1 1 2 2
Cartesian
0.000 0.000 0.000
1.977 1.977 2.223
0.000 0.000 4.126
1.977 1.977 7.331
0.000 1.977 1.197
1.977 0.000 1.197
```

## Properties
Its symmetry is No. 99.

=====

[5]
Crystalline PrIO5 at its relaxed geometry. Source: the Open Quantum Materials Database, functional GGA-PBE.

Geometry as POSCAR:
```
PrIO5
1.0
4.546 -3.291 0.000
4.546 3.291 0.000
-3.293 0.000 7.000
Pr I O
2 2 10
Cartesian
2.076 3.025 5.250
3.722 -3.025 1.750
4.546 0.000 0.000
2.899 0.000 3.500
4.380 1.864 0.197
3.065 1.864 3.303
1.258 0.074 2.712
-0.388 -0.074 6.212
2.076 0.520 5.250
3.722 -0.520 1.750
6.187 0.074 0.788
4.540 -0.074 4.288
2.733 -1.864 3.697
1.419 -1.864 6.803
```

## Properties
Its symmetry is No. 15.

=====

[6]
Crystalline PrI3O9 at its relaxed geometry. Source: the Open Quantum Materials Database, functional GGA-PBE.

Geometry as POSCAR:
```
PrI3O9
1.0
8.803 0.000 0.000
0.000 5.845 0.000
-6.954 0.000 15.025
Pr I O
4 12 36
Cartesian
0.514 1.398 1.482
-2.963 1.524 8.994
4.812 4.321 6.031
1.335 4.446 13.544
-1.767 1.104 5.206
-5.244 1.819 12.718
-0.441 3.762 7.893
3.036 5.005 0.381
-1.910 3.467 12.008
1.567 5.300 4.495
0.282 0.544 10.530
3.759 2.378 3.018
-1.187 0.840 14.645
2.290 2.082 7.132
7.093 4.026 2.307
3.616 4.741 9.820
-4.391 0.315 10.695
-0.915 2.607 3.182
-2.369 0.452 6.829
-5.846 2.470 14.342
-3.792 3.563 10.112
-0.315 5.203 2.599
-2.221 3.456 7.413
-5.698 5.311 14.926
-3.246 3.471 13.273
0.231 5.296 5.760
1.227 1.139 3.859
-2.250 1.783 11.372
-3.413 0.548 14.234
0.064 2.374 6.722
2.348 2.975 1.966
-1.129 5.792 9.479
2.754 0.194 1.880
-0.723 2.728 9.393
2.572 3.116 5.632
-0.905 5.650 13.145
2.978 0.053 5.547
-0.499 2.869 13.059
1.785 3.471 8.304
5.262 5.296 0.791
4.099 4.061 3.654
0.622 4.705 11.166
1.618 0.549 9.265
5.095 2.373 1.752
7.546 0.533 0.099
4.070 2.389 7.612
2.164 0.641 12.427
5.641 2.281 4.914
7.694 3.374 0.684
4.217 5.393 8.196
2.763 3.237 11.843
6.240 5.530 4.331
```

## Properties
Its symmetry is No. 14.

=====

[7]
Crystalline PrIO at its relaxed geometry. Source: the Open Quantum Materials Database, functional GGA-PBE.

Geometry as POSCAR:
```
PrIO
1.0
7.405 0.000 0.000
0.000 13.820 0.000
0.000 0.000 13.202
Pr I O
16 16 16
Cartesian
0.890 2.432 2.406
0.890 4.478 9.007
1.409 0.023 12.042
1.409 6.887 5.441
2.293 6.933 12.042
2.293 13.797 5.441
2.813 9.343 2.406
2.813 11.388 9.007
4.592 2.432 4.195
4.592 4.478 10.796
5.112 0.023 7.761
5.112 6.887 1.160
5.995 6.933 7.761
5.995 13.797 1.160
6.515 9.343 4.195
6.515 11.388 10.796
0.119 2.192 6.408

Solution
0.000 0.000 24.565
0.000 0.000 11.983
0.000 0.000 19.221
0.000 0.000 4.321
0.000 0.000 26.883
```

## Properties
Its symmetry is No. 166.

=====

[4]
Crystalline PmTmI2O2 at its relaxed geometry. Source: the Open Quantum Materials Database, functional GGA-PBE.

Geometry as POSCAR:
```
PmTmI2O2
1.0
3.954 0.000 0.000
0.000 3.954 0.000
0.000 0.000 9.241
Pm Tm I O
1 1 2 2
Cartesian
0.000 0.000 0.000
1.977 1.977 2.223
0.000 0.000 4.126
1.977 1.977 7.331
0.000 1.977 1.197
1.977 0.000 1.197
```

## Properties
Its symmetry is No. 99.

=====

[5]
Crystalline PrIO5 at its relaxed geometry. Source: the Open Quantum Materials Database, functional GGA-PBE.

Geometry as POSCAR:
```
PrIO5
1.0
4.546 -3.291 0.000
4.546 3.291 0.000
-3.293 0.000 7.000
Pr I O
2 2 10
Cartesian
2.076 3.025 5.250
3.722 -3.025 1.750
4.546 0.000 0.000
2.899 0.000 3.500
4.380 1.864 0.197
3.065 1.864 3.303
1.258 0.074 2.712
-0.388 -0.074 6.212
2.076 0.520 5.250
3.722 -0.520 1.750
6.187 0.074 0.788
4.540 -0.074 4.288
2.733 -1.864 3.697
1.419 -1.864 6.803
```

## Properties
Its symmetry is No. 15.